Wanted:
Filter the data further below: keep the lines with the word "Sb1".

Excerpt:
~~~
[1]
Entry from Alexandria via LeMat-Bulk: a relaxed structure of Ti2GaFe (GGA-PBE).

Cell and atoms, written as POSCAR:
```
Ti2GaFe
1.0
3.0634 0.0000 0.0000
0.0000 3.0634 0.0000
0.0000 0.0000 6.1986
Fe Ga Ti
1 1 2
direct
0.5000 0.5000 0.0000
0.5000 0.5000 0.5000
0.0000 0.0000 0.7719
0.0000 0.0000 0.2281
```

## Properties
Density of states at the Fermi level ... 3.2 states/eV per cell
ΔE_f ... -0.3805 eV per atom
Space group ... P4/mmm
Calculated density ... 6.3 g/cm3

=====

[2]
Entry from Alexandria via LeMat-Bulk: a relaxed structure of Ti12Ga6Fe (GGA-PBE).

Cell and atoms, written as POSCAR:
```
Ti12Ga6Fe
1.0
6.6805 0.4971 0.5956
-0.5214 6.6786 0.5956
-0.5214 -0.6074 6.6775
Ti Ga Fe
12 6 1
direct
0.8064 0.5200 0.4408
0.4408 0.8064 0.5200
0.5200 0.4408 0.8064
0.1936 0.4800 0.5592
0.5592 0.1936 0.4800
0.4800 0.5592 0.1936
0.0519 0.1420 0.3723
0.8580 0.6277 0.9481
0.6277 0.9481 0.8580
0.9481 0.8580 0.6277
0.1420 0.3723 0.0519
0.3723 0.0519 0.1420
0.7337 0.8807 0.2548
0.7452 0.2663 0.1193
0.1193 0.7452 0.2663
0.2663 0.1193 0.7452
0.2548 0.7337 0.8807
0.8807 0.2548 0.7337
0.0000 0.0000 0.0000
```

## Properties
Density of states at the Fermi level ... 22.2 states/eV per cell
ΔE_f ... -0.2565 eV per atom
Space group ... R-3
Calculated density ... 5.7 g/cm3

=====

[3]
Entry from Alexandria via LeMat-Bulk: a relaxed structure of Ti5Ga4Fe (GGA-PBE).

Cell and atoms, written as POSCAR:
```
Ti5Ga4Fe
1.0
4.4944 0.0000 0.0000
2.2472 6.1414 0.0000
2.2472 0.0000 6.1414
Ti Ga Fe
5 4 1
direct
0.8184 0.3651 0.0000
0.1836 0.0000 0.6349
0.8184 0.0000 0.3651
0.1835 0.6349 0.0000
0.5008 0.0000 0.0000
0.5012 0.3210 0.6790
0.8222 0.6790 0.6790
0.1802 0.3210 0.3210
0.5012 0.6790 0.3210
0.0008 0.0000 0.0000
```

## Properties
Density of states at the Fermi level ... 9.6 states/eV per cell
ΔE_f ... -0.1137 eV per atom
Space group ... I4/mmm
Calculated density ... 5.6 g/cm3

=====

> ΔE_f of number 1 (Ti2GaFe)?

-0.3805 eV per atom

=====

> Which of these has the highest density of states at the Fermi level?

Ti12Ga6Fe

=====

> Which value of density of states at the Fermi level does entry 2 give?

22.2 states/eV per cell

=====

Density functional theory data (PBE) for crystalline Ti6Re5Rh at its relaxed geometry.

The value obtained for the total DFT energy (no corrections) is -10.238 eV/atom.

Geometry as CIF:
```
data_Ti6Re5Rh
_chemical_formula_sum 'Ti6 Re5 Rh1'
_symmetry_space_group_name_H-M 'P 1'
_symmetry_Int_Tables_number 1
_symmetry_space_group_name_Hall 'P 1'
_cell_length_a 4.405
_cell_length_b 6.239
_cell_length_c 6.954
_cell_angle_alpha 90.00
_cell_angle_beta 108.39
_cell_angle_gamma 90.00
loop_
_atom_site_label
_atom_site_fract_x
_atom_site_fract_y
_atom_site_fract_z
_atom_site_occupancy
Re1 0.332 0.000 0.666 1
Ti1 0.832 0.250 0.665 1
Re2 0.666 0.500 0.332 1
Re3 0.668 0.000 0.334 1
Ti2 0.500 0.252 0.000 1
Ti3 0.832 0.750 0.665 1
Ti4 0.500 0.748 0.000 1
Re4 0.000 0.500 0.000 1
Re5 0.334 0.500 0.668 1
Ti5 0.168 0.750 0.335 1
Ti6 0.168 0.250 0.335 1
Rh1 0.000 0.000 0.000 1
```

=====

Density functional theory data (PBE) for crystalline Th2SbP at its relaxed geometry.

The calculation puts the raw formation energy at -1.238 eV/atom.

Geometry as CIF:
```
data_Th2SbP
_chemical_formula_sum 'Th2 Sb1 P1'
_symmetry_space_group_name_H-M 'P 1'
_symmetry_Int_Tables_number 1
_symmetry_space_group_name_Hall 'P 1'
_cell_length_a 4.278
_cell_length_b 4.278
_cell_length_c 7.617
_cell_angle_alpha 73.69
_cell_angle_beta 73.69
_cell_angle_gamma 60.00
loop_
_atom_site_label
_atom_site_fract_x
_atom_site_fract_y
_atom_site_fract_z
_atom_site_occupancy
Th1 0.262 0.262 0.215 1
P1 0.000 0.000 0.000 1
Sb1 0.500 0.500 0.500 1
Th2 0.738 0.738 0.785 1
```

=====

Density functional theory data (PBE) for crystalline KB6PH4O14 at its relaxed geometry.

The value obtained for the total DFT energy (no corrections) is -7.080 eV/atom.

Geometry as CIF:
```
data_KB6PH4O14
_chemical_formula_sum 'K4 B24 P4 H16 O56'
_symmetry_space_group_name_H-M 'P 1'
~~~

Solution:
_chemical_formula_sum 'Th2 Sb1 P1'
Sb1 0.500 0.500 0.500 1